********
Entry 1:
Structure and computed PXRD pattern of MgFe4O4F4 (the PBE+U geometry in the Materials Project; Cu Ka).

Structural model:
Cell: 5.262 5.736 5.853 Å, 64.25 84.88 84.04°
Space group P1 (No. 1)
One atom of each set of equivalent atoms:
Mg1 0.000 0.000 0.000
Fe1 0.047 0.263 0.273
Fe2 0.459 0.187 0.731
Fe3 0.532 0.778 0.254
Fe4 0.974 0.758 0.686
O1 0.177 0.067 0.636
O2 0.320 0.115 0.074
O3 0.711 0.899 0.872
O4 0.851 0.904 0.360
F1 0.164 0.634 0.089
F2 0.316 0.575 0.607
F3 0.678 0.387 0.403
F4 0.863 0.394 0.881

Most intense lines, 2θ = 10–90°, in order of rising 2θ:
23.49°, intensity 100; 26.39°, intensity 94; 33.55°, intensity 31; 33.87°, intensity 36; 34.02°, intensity 61; 54.33°, intensity 29

=====

Entry 2:
Structure and computed PXRD pattern of MgFe12O12F12 (the PBE+U geometry in the Materials Project; Cu Ka).

Structural model:
Cell: 3.091 9.731 14.462 Å, 90.97 90.05 90.04°
Space group P1 (No. 1)
One atom of each set of equivalent atoms:
Mg1 0.000 0.000 0.000
Fe1 0.010 0.467 0.179
Fe2 0.011 0.471 0.817
Fe3 0.013 0.956 0.187
Fe4 0.017 0.475 0.508
Fe5 0.019 0.968 0.497
Fe6 0.022 0.981 0.821
Fe7 0.505 0.264 0.978
Fe8 0.508 0.733 0.995
Fe9 0.515 0.252 0.658
Fe10 0.516 0.741 0.341
Fe11 0.518 0.229 0.367
Fe12 0.522 0.736 0.643
O1 0.006 0.348 0.927
O2 0.008 0.818 0.938
O3 0.015 0.322 0.598
O4 0.015 0.815 0.269
O5 0.018 0.127 0.408
O6 0.022 0.837 0.601
O7 0.503 0.076 0.921
O8 0.510 0.910 0.093
O9 0.511 0.387 0.763
O10 0.517 0.394 0.435
O11 0.518 0.578 0.565
O12 0.519 0.879 0.436
F1 0.006 0.169 0.070
F2 0.009 0.638 0.069
F3 0.014 0.638 0.734
F4 0.015 0.310 0.271
F5 0.016 0.634 0.397
F6 0.019 0.140 0.731
F7 0.508 0.392 0.094
F8 0.508 0.582 0.897
F9 0.512 0.578 0.241
F10 0.514 0.070 0.237
F11 0.519 0.076 0.571
F12 0.524 0.871 0.763

Most intense lines, 2θ = 10–90°, in order of rising 2θ:
25.80°, intensity 97; 26.25°, intensity 100; 34.40°, intensity 88; 34.48°, intensity 27; 51.38°, intensity 29; 51.88°, intensity 31

=====

Entry 3:
Structure and computed PXRD pattern of MgFe6O6F6 (the PBE+U geometry in the Materials Project; Cu Ka).

Structural model:
Cell: 5.299 5.366 8.788 Å, 87.18 85.30 87.46°
Space group P1 (No. 1)
One atom of each set of equivalent atoms:
Mg1 0.000 0.000 0.000
Fe1 0.111 0.536 0.844
Fe2 0.473 0.054 0.047
Fe3 0.565 0.888 0.710
Fe4 0.606 0.918 0.370
Fe5 0.913 0.395 0.546
Fe6 0.960 0.413 0.207
O1 0.186 0.309 0.033
O2 0.310 0.846 0.881
O3 0.704 0.110 0.539
O4 0.752 0.125 0.191
O5 0.812 0.615 0.710
O6 0.815 0.615 0.371
F1 0.171 0.276 0.369
F2 0.192 0.286 0.675
F3 0.349 0.825 0.231
F4 0.367 0.779 0.545
F5 0.745 0.101 0.857
F6 0.843 0.679 0.049

Most intense lines, 2θ = 10–90°, in order of rising 2θ:
18.94°, intensity 20; 23.18°, intensity 100; 24.15°, intensity 99; 33.92°, intensity 18; 34.34°, intensity 23; 40.54°, intensity 24

=====

Entry 4:
Structure and computed PXRD pattern of MgFe6O11F (the PBE+U geometry in the Materials Project; Cu Ka).

Structural model:
Cell: 8.181 6.329 8.774 Å, 90.00 90.34 90.00°
Space group Cm (No. 8)
One atom of each set of equivalent atoms:
Mg1 0.000 0.000 0.000
Fe1 0.216 0.500 0.808
Fe2 0.221 0.500 0.177
Fe3 0.300 0.000 0.327
Fe4 0.305 0.000 0.648
Fe5 0.345 0.000 0.998
Fe6 0.389 0.500 0.493
O1 0.125 0.000 0.493
O2 0.170 0.000 0.150
O3 0.303 0.314 0.988
O4 0.304 0.309 0.658
O5 0.314 0.309 0.326
O6 0.452 0.000 0.483
O7 0.482 0.000 0.821
O8 0.494 0.000 0.164
F1 0.141 0.000 0.829

Most intense lines, 2θ = 10–90°, in order of rising 2θ:
21.73°, intensity 96; 28.20°, intensity 100; 35.49°, intensity 32; 35.61°, intensity 32; 54.82°, intensity 39; 58.29°, intensity 25

=====

Entry 5:
Structure and computed PXRD pattern of MgFe6O6F6 (the PBE+U geometry in the Materials Project; Cu Ka).

Structural model:
Cell: 3.128 5.103 14.434 Å, 83.31 84.11 89.98°
Space group P1 (No. 1)
One atom of each set of equivalent atoms:
Mg1 0.000 0.000 0.000
Fe1 0.123 0.016 0.799
Fe2 0.263 0.123 0.487
Fe3 0.404 0.121 0.194
Fe4 0.518 0.507 0.971
Fe5 0.693 0.502 0.643
Fe6 0.834 0.619 0.338
********

Could you transcribe the lines earlier on from the line with "0.271" to the end unchanged?

F4 0.015 0.310 0.271
F5 0.016 0.634 0.397
F6 0.019 0.140 0.731
F7 0.508 0.392 0.094
F8 0.508 0.582 0.897
F9 0.512 0.578 0.241
F10 0.514 0.070 0.237
F11 0.519 0.076 0.571
F12 0.524 0.871 0.763

Most intense lines, 2θ = 10–90°, in order of rising 2θ:
25.80°, intensity 97; 26.25°, intensity 100; 34.40°, intensity 88; 34.48°, intensity 27; 51.38°, intensity 29; 51.88°, intensity 31

=====

Entry 3:
Structure and computed PXRD pattern of MgFe6O6F6 (the PBE+U geometry in the Materials Project; Cu Ka).

Structural model:
Cell: 5.299 5.366 8.788 Å, 87.18 85.30 87.46°
Space group P1 (No. 1)
One atom of each set of equivalent atoms:
Mg1 0.000 0.000 0.000
Fe1 0.111 0.536 0.844
Fe2 0.473 0.054 0.047
Fe3 0.565 0.888 0.710
Fe4 0.606 0.918 0.370
Fe5 0.913 0.395 0.546
Fe6 0.960 0.413 0.207
O1 0.186 0.309 0.033
O2 0.310 0.846 0.881
O3 0.704 0.110 0.539
O4 0.752 0.125 0.191
O5 0.812 0.615 0.710
O6 0.815 0.615 0.371
F1 0.171 0.276 0.369
F2 0.192 0.286 0.675
F3 0.349 0.825 0.231
F4 0.367 0.779 0.545
F5 0.745 0.101 0.857
F6 0.843 0.679 0.049

Most intense lines, 2θ = 10–90°, in order of rising 2θ:
18.94°, intensity 20; 23.18°, intensity 100; 24.15°, intensity 99; 33.92°, intensity 18; 34.34°, intensity 23; 40.54°, intensity 24

=====

Entry 4:
Structure and computed PXRD pattern of MgFe6O11F (the PBE+U geometry in the Materials Project; Cu Ka).

Structural model:
Cell: 8.181 6.329 8.774 Å, 90.00 90.34 90.00°
Space group Cm (No. 8)
One atom of each set of equivalent atoms:
Mg1 0.000 0.000 0.000
Fe1 0.216 0.500 0.808
Fe2 0.221 0.500 0.177
Fe3 0.300 0.000 0.327
Fe4 0.305 0.000 0.648
Fe5 0.345 0.000 0.998
Fe6 0.389 0.500 0.493
O1 0.125 0.000 0.493
O2 0.170 0.000 0.150
O3 0.303 0.314 0.988
O4 0.304 0.309 0.658
O5 0.314 0.309 0.326
O6 0.452 0.000 0.483
O7 0.482 0.000 0.821
O8 0.494 0.000 0.164
F1 0.141 0.000 0.829

Most intense lines, 2θ = 10–90°, in order of rising 2θ:
21.73°, intensity 96; 28.20°, intensity 100; 35.49°, intensity 32; 35.61°, intensity 32; 54.82°, intensity 39; 58.29°, intensity 25

=====

Entry 5:
Structure and computed PXRD pattern of MgFe6O6F6 (the PBE+U geometry in the Materials Project; Cu Ka).

Structural model:
Cell: 3.128 5.103 14.434 Å, 83.31 84.11 89.98°
Space group P1 (No. 1)
One atom of each set of equivalent atoms:
Mg1 0.000 0.000 0.000
Fe1 0.123 0.016 0.799
Fe2 0.263 0.123 0.487
Fe3 0.404 0.121 0.194
Fe4 0.518 0.507 0.971
Fe5 0.693 0.502 0.643
Fe6 0.834 0.619 0.338